12 C Media Studies

Now you have been introduced to some of the key representational theories and we have modelled some analysis in class, it is time to tackle an essay question. The essay should be 700-1000 words long and is due on Monday, October 13th.


Discuss the ways Homeland constructs the representation of either gender or the CIA.


Use the theories and questions we have used in class to help shape your answer. Also, you need to refer to:

– Camera shots

– Editing

– Sound

– Mise en scene


See on Scoop.itYear 12 Media Studies

Family h/w 1

Today, the nuclear family is the ideal family form. (12 marks)


Remember you need to include 3 pieces of evidence for and against the statement. Include Murdock, politicians and family diversity (reasons as well)


Due next lesson

-- Here the page breaks off for molecular data --
~~~
Entry 1:
The following is a quantum chemistry calculation of a cluster of 9 separate species, C17H49O11 in total in a non-equilibrium geometry, from the OMol25 dataset.

Structure (XYZ):
```
77
Properties=species:S:1:pos:R:3:forces:R:3
C 0.094766 -0.301117 1.206338 -1.977 1.344 -0.185
O -1.119234 -0.095117 0.939338 -0.659 2.431 -0.922
O 1.014766 0.698883 1.056338 4.991 -9.482 0.651
O 0.436766 -1.361117 1.592338 2.992 -3.619 1.337
H 0.635766 1.436883 1.014338 -4.921 10.028 -0.692
C 2.029766 -4.699117 1.022338 2.335 3.279 -0.234
O 1.851766 -3.829117 2.141338 -1.839 1.290 1.258
H 2.300766 -3.764117 0.365338 -0.759 -2.865 -0.948
H 1.113766 -5.310117 0.853338 1.014 0.226 -0.430
H 3.068766 -5.221117 1.169338 -2.323 0.318 -0.224
H 1.260766 -3.021117 1.873338 1.550 -2.125 0.609
C 1.910766 -0.633117 4.394338 -0.447 -2.718 1.373
O 2.457766 0.309883 3.505338 6.442 -0.218 7.598
H 1.738766 -1.770117 4.100338 0.857 2.211 -0.534
H 0.894766 -0.271117 4.472338 -0.510 -0.236 1.370
H 2.495766 -0.820117 5.383338 -0.984 1.320 -1.647
H 1.964766 0.241883 2.826338 -5.199 -0.408 -8.033
C -2.483234 3.095883 1.341338 -0.257 3.427 -0.077
O -1.276234 2.550883 0.945338 2.238 -0.058 -0.541
H -2.827234 3.904883 0.508338 -0.020 -2.403 1.541
H -2.496234 3.810883 2.277338 0.870 -1.458 -1.334
H -3.037234 2.246883 1.633338 -1.989 -0.426 -0.191
H -1.242234 1.540883 0.805338 -1.086 0.810 0.473
C -3.210234 1.210883 -1.609662 -4.645 -1.717 -0.618
O -3.910234 1.286883 -2.879662 -0.329 -0.027 -0.290
H -2.616234 1.968883 -1.539662 3.921 4.970 -0.213
H -2.570234 0.410883 -1.403662 0.134 -2.045 0.248
H -3.950234 1.515883 -0.816662 0.363 -1.338 -0.630
H -3.752234 0.686883 -3.637662 0.605 0.125 1.541
C 4.789766 1.253883 -0.308662 -0.600 -0.117 1.326
C 3.473766 0.733883 -1.057662 0.982 3.294 0.658
C 3.784766 0.749883 -2.538662 5.703 0.856 2.660
O 3.171766 -0.465117 -0.426662 -0.089 -0.603 -1.582
H 5.856766 1.028883 -0.695662 -1.866 -1.324 0.736
H 4.544766 1.156883 0.816338 1.186 -0.433 -1.647
H 4.969766 2.280883 -0.399662 -0.724 2.237 -0.337
H 2.469766 1.566883 -0.973662 3.058 -2.203 0.241
H 4.230766 1.812883 -2.734662 -0.151 -2.090 0.225
H 2.953766 0.813883 -2.991662 -6.205 -0.174 -3.901
H 4.394766 -0.107117 -2.904662 -0.177 0.812 0.329
H 2.490766 -0.183117 0.158338 -1.025 -0.315 1.227
C -2.211234 -2.926117 3.627338 2.426 -2.966 -1.878
C -2.884234 -2.811117 2.214338 0.992 -5.658 1.880
C -4.139234 -3.668117 2.374338 0.376 -0.708 -4.634
O -3.166234 -1.545117 1.977338 -3.385 1.104 -0.411
H -1.343234 -2.330117 3.477338 1.524 0.129 0.078
H -1.874234 -4.061117 3.821338 -0.678 2.566 -0.216
H -2.599234 -2.474117 4.495338 -1.700 0.268 0.791
H -2.207234 -3.484117 1.403338 -1.297 2.374 1.827
H -4.836234 -3.602117 1.511338 0.612 -0.022 -0.074
H -4.763234 -3.501117 3.114338 -2.696 2.298 4.203
H -4.059234 -4.718117 2.582338 1.296 -0.837 -0.539
H -2.452234 -1.049117 1.674338 2.472 1.393 -1.006
C 0.088766 -3.283117 -2.761662 1.697 0.171 -1.936
C 0.022766 -2.095117 -1.768662 1.063 0.367 -4.260
~~~
-- So much for the molecular data --

See on Scoop.itAS Sociology

Research Task

Over the next week, I want you to investigate how much prominence religion has in UK life. I would you to record any time you come across any reference to a religion, any religious symbolism or buildings. Once you have collected the information, please write a short report of around 500 words summarising and evaluating your findings.

See on Scoop.itA2 Sociology

Lesson Two: The Sociological Imagination

Today’s lesson was all about encouraging you all to embrace a sociological consciousness and imagination. Peter Berger argues that Sociologists should always question and challenge the common sense -things are not always as they seem. Hopefully the task today proved that. Here is the conclusion to the task:




1. The main point of the little test you have just done is not to ridicule commonsense explanations. Rather it is to demonstrate that:

a. The purpose of sociology is to add to the sum total of human knowledge about our behaviour.

b. Knowledge that is produced through testing and examination helps us to explain more than knowledge that is simply based on faith, assertion or opinion.

c. Knowledge that “everyone knows” is not by definition false. The objective of all social science is to produce valid knowledge – knowledge that paints an accurate picture of human behaviour, meanings and motives (thereby adding to the sum total of what “everyone knows” to be true in a society).


2. In the next section of the course we can start to develop some of the ideas discussed in the first part of the course. In particular, we can start to develop the idea of a sociological perspective in more depth, concentrating on two main ideas:

a. Firstly, the way in which sociologists have developed an understanding of the way human societies are organised. This will involve a discussion of the concept of “society”, as well as concepts such as culture and socialisation (how we learn how to be members of a culture and society.

b. Secondly, an initial outline of the way the general sociological perspective can be further refined by looking at differences of perspective and interpretation within Sociology

See on Scoop.itA2 Sociology